Kaivax, I know it is not your fault. But can you arrange to give them feedback about how bad this ¨tradition¨of yours is? And how no one seems to be ok with it?
Why if the current expansion is getting bashed on every other website you keep making decisions that are broadly unwanted?
## The article is interrupted by data records
┌──
<a>
Density functional theory data (ωB97M-V/def2-TZVPD) for an isolated ion of composition C6H15N and charge -1.

Its LUMO energy (spin up / spin down) is 3.92 / 3.97 eV. The multiplicity is 2. The calculation puts the HOMO energy (spin up / spin down) at 1.5 / -5.1 eV. The molecular weight is 101.19 u. As for the total charge: -1. Its frontier orbital gap (spin up / spin down) is 2.396 / 9.076 eV.

Bonds (Å) are listed after each position.
Element x y z (Å)
1 C -1.785 0.372 1.381  N2 1.450, C7 1.517, H8 1.092, H9 1.099
2 N -0.679 -0.383 0.824  C1 1.450, C3 1.452, H10 1.012
3 C 0.026 0.267 -0.267  N2 1.452, C4 1.555, H11 1.100, H12 1.086
4 C 1.407 -0.400 -0.527  C3 1.555, C5 1.550, C6 1.542, H13 1.090
5 C 2.549 0.342 0.212  C4 1.550, H14 1.089, H15 1.088, H16 1.094
6 C 1.717 -0.449 -2.036  C4 1.542, H17 1.088, H18 1.093, H19 1.092
7 C -3.096 0.243 0.630  C1 1.517, H20 1.092, H21 1.092, H22 1.099
8 H -1.490 1.422 1.422  C1 1.092
9 H -1.919 0.131 2.445  C1 1.099
10 H -1.004 -1.285 0.502  N2 1.012
11 H -0.554 0.224 -1.201  C3 1.100
12 H 0.191 1.319 -0.059  C3 1.086
13 H 1.340 -1.409 -0.118  C4 1.090
14 H 3.417 0.407 -0.443  C5 1.089
15 H 2.237 1.338 0.517  C5 1.088
16 H 2.873 -0.224 1.091  C5 1.094
17 H 2.074 0.527 -2.358  C6 1.088
18 H 0.803 -0.655 -2.599  C6 1.093
19 H 2.412 -1.243 -2.318  C6 1.092
20 H -3.499 -0.769 0.705  C7 1.092
21 H -2.963 0.499 -0.423  C7 1.092
22 H -3.882 0.887 1.049  C7 1.099

---

<b>
Density functional theory data (ωB97M-V/def2-TZVPD) for an isolated ion of composition C6H15N and charge -1.

Its LUMO energy (spin up / spin down) is 3.93 / 3.86 eV. The multiplicity is 2. The calculation puts the HOMO energy (spin up / spin down) at 1.5 / -4.8 eV. The molecular weight is 101.19 u. As for the total charge: -1. Its frontier orbital gap (spin up / spin down) is 2.446 / 8.631 eV.

Bonds (Å) are listed after each position.
Element x y z (Å)
1 C 0.102 1.715 0.648  C2 1.580, C3 1.555, H8 1.107, H9 1.211
2 C -0.721 2.238 1.892  C1 1.580, H10 1.129, H11 1.168, H12 1.075
3 C -0.759 0.687 -0.138  C1 1.555, N4 1.435, H13 1.112, H14 1.120
4 N 0.024 -0.515 -0.124  C3 1.435, C5 1.600, C7 1.495
5 C 0.167 -1.038 -1.629  N4 1.600, C6 1.519, H15 1.038, H16 1.139
6 C 1.578 -1.591 -1.718  C5 1.519, H17 1.040, H18 1.049, H19 1.194
7 C -0.442 -1.647 0.733  N4 1.495, H20 1.054, H21 1.143, H22 1.150
8 H 1.154 1.547 0.949  C1 1.107
9 H 0.293 2.640 -0.110  C1 1.211
10 H -0.764 1.340 2.576  C2 1.129
11 H -1.845 2.452 1.660  C2 1.168
12 H -0.204 2.942 2.517  C2 1.075
13 H -0.822 1.062 -1.183  C3 1.112
14 H -1.821 0.629 0.215  C3 1.120
15 H -0.483 -1.833 -1.778  C5 1.038
16 H 0.107 -0.080 -2.243  C5 1.139
17 H 2.091 -1.480 -2.616  C6 1.040
18 H 1.782 -2.502 -1.240  C6 1.049
19 H 2.289 -0.780 -1.207  C6 1.194
20 H -0.146 -1.333 1.694  C7 1.054
21 H -1.574 -1.777 0.639  C7 1.143
22 H -0.008 -2.677 0.465  C7 1.150

---

Energy comparison, zero being the most stable, in hartree: <a> 0.0000; <b> 0.0847.

---

<a>
└──
My constructive criticism for you is:
Unless it’s causing an outrage, focus on adding, not on removing. Please.
Shame on you blizzard developers for sending a customer service rep in here to do your job of interacting with your customer base and dealing with the fall out of this horrible time waste of traveling now.
What portals do you guys want? If you have to ask, then you are beyond clueless and out of touch with the game.
B-“Were thinking about doing x, what do you think?”
GD-" No dont do x because of a b & c"
B-“Were still gonna do x, and heres why you should like it”
Why even bother asking for feedback when no matter what you heard you werent going to listen? Youre just wasting everyones time with the false hope that you might actually change your mind
Um… what? I’m saying they added Titanforging and Personal Loot BECAUSE of community feedback from what they call “average users” aka casuals. What are you talking about?
Not a huge fan of the removals, but I will adapt and continue on.
@Developers - ease of travel keeps people playing when the game is a tedious grind. You lose players to boredom when even getting around the world is a chore. Take a lesson from other games, even the Grandfather of MMO’s Ultima Online has extensive ways (Portals, Runebooks, Marks to personal locations) to get around without tedium.
And here’s another issue with it. I like games to avoid my real life woes, like being stuck at a slow pace doing something I know I could be doing faster were it not for someone else ruining it for me.
Blizzard should forevermore be associated with that one guy who backed up traffic for an hour right when you got off work and made you sit in traffic.
This, right here, is one of the universal problems across all these scandals. The focus seems to be on removing, lessening, shrinking, instead of growing and adding.
I never comment on these things. Usually, somewhere, someone has already commented my exact thoughts, but just incase they haven’t, i wanted to put one post up myself this time.
I am currently not playing WoW because of the current state of the game. I am not thrilled but here i am looking for any reason to start again. There has been very little feed back on the state of the game from devs with the exception of a watered down Q&A here and there. Still, we all move on.
So here i am reading this portal update. Your arguement has some weight behind it and makes sense in some points but i think there is some huge oversight here. These people that are complaining about the portals going away are not newbies just getting into the game. They’re veterans who use these portals to cut through the dull parts of the game. They havent used these portals “100 times”. Try thousands. These are people who have played through every inch of this game and know every inch of the map inside out. They dont need another flight path to delay them. They just want to get from point A to point B and run their farming routes for whatever it is that they’re doing.
With all of that said, your point would be more valid IF!! The old world was more relevant. Some changes like arathi maybe? Something new to see/explore. An actual reason to revisit old content is whats actually needed. Removing portals with out gaining anything is just… a loss. Another one at that. All expansion the player base has been hit with a fat L and here we are again.
So finally, my main point. The community yet again has argued their point and it truly feels lile you guys just are not listening. Hopefully i start seeing something more promising soon. I would love to play your game again